
Showing posts from April, 2017

## What comes next are records of molecules, not part of the article
/*
Record 1
C27H22AsBrF4NNiPS4 | the ωB97M-V functional and the def2-TZVPD basis

Element x y z (Å)
Ni  -0.076  -0.413  0.160
F  0.550  1.988  6.795
C  0.361  1.224  5.714
C  -0.229  -0.012  5.831
F  -0.607  -0.440  7.048
C  -0.415  -0.791  4.711
F  -0.965  -1.994  4.930
C  -0.055  -0.391  3.422
P  -0.333  -1.414  1.838
C  -1.978  -2.125  2.273
C  -2.325  -3.403  1.825
C  -3.627  -3.870  1.947
C  -4.607  -3.068  2.516
C  -4.281  -1.792  2.954
C  -2.981  -1.324  2.824
C  0.828  -2.800  2.250
C  0.637  -3.805  3.196
C  1.610  -4.778  3.403
C  2.782  -4.766  2.666
C  2.979  -3.780  1.704
C  2.006  -2.812  1.497
C  0.557  0.865  3.344
Br  1.157  1.569  1.698
C  0.758  1.646  4.468
F  1.349  2.851  4.399
H  -1.579  -4.018  1.338
H  -3.879  -4.853  1.569
H  -5.626  -3.429  2.601
H  -5.043  -1.155  3.388
H  -2.738  -0.322  3.159
H  -0.286  -3.843  3.759
H  1.446  -5.558  4.139
H  3.533  -5.532  2.825
H  3.880  -3.782  1.104
H  2.133  -2.054  0.732
C  -2.380  1.669  0.411
N  -1.881  0.796  -0.637
C  -2.872  -0.228  -0.949
C  -1.553  1.555  -1.849
C  -0.452  2.558  -1.631
C  -0.742  3.914  -1.530
C  0.253  4.865  -1.338
C  1.575  4.444  -1.257
C  1.889  3.096  -1.360
C  0.890  2.115  -1.542
H  -3.298  2.197  0.091
H  -1.628  2.409  0.679
H  -2.612  1.074  1.293
H  -3.813  0.222  -1.314
H  -3.091  -0.825  -0.064
H  -2.490  -0.893  -1.719
H  -2.455  2.069  -2.228
H  -1.223  0.832  -2.598
H  -1.778  4.235  -1.598
H  -0.001  5.915  -1.252
H  2.368  5.170  -1.104
H  2.918  2.766  -1.291
S  0.337  -4.302  -2.466
As  -1.325  -2.985  -3.264
S  -0.440  -2.852  -1.137
S  1.325  0.434  -1.647
S  -3.138  -4.051  -3.229

**Maximum force**: 0.0164 hartree/bohr
**HOMO energy**: -0.74 eV
**E_tot**: -9748.5588 a.u.
**Total charge**: -2

---

Record 2
C10H28AsF6N4O5PbS3Sb | the ωB97M-V functional and the def2-TZVPD basis

Element x y z (Å)
Pb  0.285  0.911  1.180
C  3.496  2.063  0.153
N  2.643  0.953  -0.355
C  3.311  -0.358  -0.174
C  2.265  1.152  -1.775
C  1.497  2.417  -2.031
N  0.170  2.413  -1.508
C  -0.456  3.697  -1.310
C  -0.762  1.431  -2.026
H  4.132  2.308  -0.718
H  4.113  1.804  0.993
H  2.807  2.894  0.437
H  4.174  -0.303  -0.892
H  2.644  -1.148  -0.445
H  3.628  -0.397  0.886
H  1.699  0.259  -2.061
H  3.176  1.052  -2.399
H  1.543  2.536  -3.153
H  2.017  3.312  -1.710
H  -0.802  4.166  -2.316
H  0.218  4.422  -0.784
H  -1.368  3.641  -0.707
H  -0.959  1.573  -3.097
H  -1.655  1.493  -1.424
H  -0.315  0.467  -2.058
N  -1.249  1.369  3.259
N  -2.334  0.683  2.739
C  -2.736  0.925  1.368
O  -3.780  0.406  0.966
O  -1.873  1.670  0.768
H  -0.916  0.990  4.146
H  -1.395  2.349  3.354
H  -2.282  -0.348  2.879
F  1.797  2.336  2.817
Sb  2.893  1.291  4.123
F  2.761  2.848  5.279
F  1.132  0.705  4.685
F  2.814  -0.171  2.832
F  3.726  0.177  5.381
F  4.572  1.917  3.379
C  -2.340  -3.565  -3.997
As  -2.210  -3.312  -2.022
C  -2.713  -1.497  -1.276
C  -3.337  -4.605  -1.096
S  -0.013  -3.318  -1.549
H  -3.360  -3.413  -4.324
H  -1.989  -4.580  -4.174
*/
## The records of molecules stop here


THE SNEAKY THINGS WIVES SOMETIMES DO (First featured in the NEW EVE MAGAZINE 2016 first edition) Sometimes it’s as if I try to outdo my ability to annoy my husband. I mean I try to be a good wife and lover, a good mother made of sugar and spice and all things nice but some days it just doesn’t work. When such days happen I wonder what I must have done to trigger it. Maybe I didn’t spend enough time in my morning devotion. Anyways, yesterday I was almost sent back to my father’s house (not really , but close enough) and all because of an internet modem. I had taken it out in the morning (without informing him) to browse on some stuff I needed for a project I was doing. Please don’t be too hasty to judge me. I believe the one- day –one- trouble syndrome had just kicked in because I honestly didn’t remember to ask nicely for it. Well, unfortunately hubby sited his modem sticking out of my laptop port. “Bia is that my modem?” he asks. That’s how conversations go in my house always a


Pastor Gabriel drove his wife and the girl to church silently. He has always been a man of few words. He looked at his rear view mirrow to be sure the young girl was okay. Her face was a complex mixture of relief, shame, guilt and worry. There was no doubt she had more battles to fight in future and her life would often be in grave danger. He knew he had a lot of work to do on her or else the coven would be boiling her hide in a cauldron in no distant time. He had tried to convince the Richards to keep her for a while but they would have nothing to do with her again. Frankly he didnt blame them. They'd been through alot lately. Finally his wife had graciously suggested the girl come over. Their house would be a city of refuge for her and she would in turn help them with chores around the house. The couple didn't have any child of their own. They had wasted no time. She had over 15 foundational classes to complete and she was already in stage 2. The idea was to help her beg


Everybody is in love with the sinfully handsome Alejandro. Maya, the beautiful voodoo practising housekeeper has taken her feelings for him to a dark and obsessive level by creating a shrine for him deep inside her closet.  Even that old Jezebel , Madam Isabella de la Rosa is also trying to scheme her way into his bed. But all his heart is for the complicated and evasive Maria. Gladys sighed with mild annoyance as she watched her heartthrob pursuing after Maria under the rain, just in jeans, muddy cowboy boots and bare chest. Maria was sitting at the  back of a taxi, tears streaming down her face trying hard not to look at Alejandro who was running as fast as he could screaming her name. ' Chai...what a man! ...infact this guy na correct Alpha male'  she concludes as she fixed her eyes on his chest rippling with muscles. ' But come o, how come no guy has ever pursued me under the rain'. Infact the last relationship she almost got into had died a natural death beca


The tiny toilet room could barely contain the commotion going on inside. The Exterminator stood at the foot of the bed and watched the scene with sober eyes , his 9 feet height nearly touching the ceiling. In the realm where he belonged walls didn't exist so the whole scene was playing out before him fully. His brothers had formed a  tight circle round  all the humans in the room. Their eyes blazing hot with holy fire and zeal. But their concern wasn't the humans, it was the wicked spirits within the girl writhing on the floor that they where waiting for. The two groups of spirits could see each other as clear as day and no one was budging for the other . However, him and his brothers couldn't do anything until the demons where expelled from the girl by the humans . It was almost all over. But the end could only come when any of  three things happened , 1. the girl's death, 2. her permanent physical exit from the house or 3. her voluntary consent to be rid of the de


Mrs. Richards drew open the curtain of her house and watched as the van emblazoned with BENNY'S PEST CONTROL on the sides packed close to her doorstep. The picture of the reptiles , insects and rodents on the van looked  terrifying, almost life like. Like the work of a brilliant 3D artist. It was funny because she couldn't  recall calling any pest control to her house. She watched as the driver got out . He was wearing bright orange HI VIS coveralls and looked vaguely familiar. He turned and  looked straight at her with a severe expression. She felt a bit awkward for peeking and drew back the curtains quickly. She opened the door. He was already standing at her door. 'Good day Nkoli' he sounded warm  and polite but his expression was still grim. Mrs Richards wondered about the greeting. Only few people knew and called her by her first name. Good day sir...may I help you?' 'No madam...I am here to help you. You have a pest in your house' 'Eeeeh? &

THE CIRCLE: part 7 - THE YOUNG INITIATE (continuation)

-- Between two parts of the piece: calculated molecules --
=====
[1]
Molecular formula: CH24O11
Method: DFT, ωB97M-V/def2-TZVPD

```
! wB97M-V def2-TZVPD RIJCOSX def2/J DEFGRID3
* xyz 0 1
C -0.47 -0.86 3.18
O 0.31 -1.76 2.43
H -1.07 -0.26 2.48
H -1.11 -1.41 3.85
H 0.22 -0.19 3.75
H 1.10 -1.94 2.96
O 3.10 -0.58 2.44
H 3.48 -0.87 1.61
H 2.86 0.35 2.19
O -1.02 -1.06 -3.09
H -0.83 -0.45 -2.47
H -0.21 -1.31 -3.62
O -2.33 -3.41 -2.27
H -2.23 -2.54 -2.65
H -1.54 -3.82 -2.63
O 0.75 -0.99 -0.41
H 1.49 -1.12 0.18
H -0.01 -1.42 -0.02
O -2.58 2.12 -2.50
H -1.61 2.25 -2.53
H -2.86 2.89 -3.07
O 2.71 3.81 -0.58
H 3.30 3.90 -1.34
H 1.88 3.35 -0.65
O 0.90 1.84 -0.82
H 0.93 0.86 -0.68
H -0.10 1.84 -0.89
O -1.78 -1.98 0.53
H -1.63 -2.67 1.18
H -2.40 -2.45 0.03
O 2.56 1.97 2.03
H 2.97 2.43 1.20
H 1.60 2.03 1.80
O -1.73 0.66 -0.61
H -2.62 0.87 -1.02
H -2.03 -0.06 0.03
*
```

## Properties
SMILES = CO.O.O.O.O.O.O.O.O.O.O
E_HOMO = -10.35 eV
Kohn-Sham gap = 10.57 eV
DFT total energy = -23948.9928 eV
LUMO = 0.226 eV
energy above the lowest of the compared OMol25 structures with the same formula, charge and spin = 0.205 eV



[2]
Molecular formula: C42H49N5P
Method: DFT, ωB97M-V/def2-TZVPD

```
! wB97M-V def2-TZVPD RIJCOSX def2/J DEFGRID3
* xyz 1 1
C 4.52 -1.34 -5.40
N 4.60 -0.89 -4.02
C 5.94 -0.79 -3.47
C 3.49 -0.46 -3.33
C 3.61 0.16 -2.05
C 2.49 0.42 -1.28
C 1.19 0.13 -1.75
P -0.24 0.20 -0.60
C -1.45 -0.88 -1.47
C -1.35 -2.29 -1.48
C -2.19 -3.08 -2.24
C -3.21 -2.51 -3.04
N -4.05 -3.28 -3.79
C -5.19 -2.74 -4.50
C -3.84 -4.71 -3.95
C -3.35 -1.09 -3.00
C -2.46 -0.31 -2.28
C 0.33 -0.92 0.72
C -0.25 -0.84 2.00
C 0.07 -1.79 2.98
C 0.92 -2.89 2.69
N 1.13 -3.88 3.61
C 1.84 -5.10 3.28
C 0.69 -3.78 4.98
C 1.52 -2.94 1.41
C 1.23 -1.98 0.45
C 1.07 -0.34 -3.08
C 2.18 -0.61 -3.87
H 3.86 -0.69 -5.99
H 5.52 -1.31 -5.83
H 4.14 -2.37 -5.50
H 5.92 -0.87 -2.39
H 6.58 -1.57 -3.89
H 6.41 0.17 -3.74
H 4.60 0.41 -1.67
H 2.63 0.83 -0.28
H -0.59 -2.78 -0.89
H -2.06 -4.17 -2.22
H -5.58 -1.87 -3.98
H -4.94 -2.45 -5.53
H -5.97 -3.51 -4.56
H -2.80 -4.95 -4.19
H -4.11 -5.28 -3.04
H -4.48 -5.07 -4.76
H -4.14 -0.60 -3.57
H -2.56 0.77 -2.35
H -0.96 -0.06 2.25
H -0.38 -1.68 3.97
H 1.50 -5.53 2.33
H 2.93 -4.95 3.20
H 1.67 -5.84 4.07
H 0.51 -2.74 5.25
H -0.23 -4.35 5.16
H 1.46 -4.19 5.65
H 2.23 -3.73 1.16
H 1.67 -2.07 -0.53
H 0.08 -0.55 -3.50
H 2.05 -0.96 -4.89
C 4.99 4.99 2.00
N 3.79 4.68 2.75
C 3.80 4.98 4.17
C 2.68 4.10 2.19
C 1.76 3.42 3.03
C 0.67 2.76 2.49
C 0.41 2.75 1.10
C -0.77 2.08 0.46
C -2.05 2.21 1.15
C -3.38 2.10 0.55
C -3.90 2.13 -0.74
C -5.24 1.77 -0.93
C -6.10 1.49 0.15
C -5.64 1.65 1.47
C -4.30 2.00 1.62
N -3.61 2.20 2.81
C -4.19 2.19 4.14
C -2.29 2.41 2.53
C 1.29 3.51 0.28
C 2.40 4.17 0.80
H 4.86 4.75 0.94
H 5.24 6.06 2.11
H 5.85 4.42 2.39
H 2.77 5.14 4.52
H 4.24 4.16 4.77
H 4.39 5.88 4.36
H 1.91 3.40 4.12
H 0.01 2.28 3.20
H -0.88 2.28 -0.62
H -3.26 2.43 -1.57
H -5.64 1.68 -1.93
H -7.13 1.16 -0.02
H -6.26 1.46 2.35
H -5.20 1.78 4.08
H -3.60 1.56 4.81
H -4.26 3.20 4.57
H -1.68 2.79 3.34
H 1.06 3.62 -0.78
H 3.04 4.78 0.15
*
```

## Properties
=====
-- The calculated molecules stop here --

Deborah thought about her life and how complicated things had become. She thought about her widowed mom in the village. Her mom was her world. She was sure that by time this was all over she would be dead, either in the hands of the Richards or in the hands of the High Witch. There was no escaping it. The poisonous portion obviously had not worked and the time was ticking. It was ticking too fast. She had just 2 days to do something. She cursed Ogene. She was the one that got her into this mess. She never asked for this. When  she came into the Richards home she had been all too grateful to be there. Everything was lovely. She had a room to herself  and always enough food to eat.  The Richards treated her like a human being and there was even talk of sending her back to school. She worked hard to keep that thought in their mind till they fufilled it. School was what she loved till her father's death changed everything. Her mom hated sending her away but there was no choice.


Mrs. Richards walked out of the church door to answer her husband's call . She needed to leave church immediatly as her tampoons where thoroughly soaked and she didn't need any embarassing stains.  Some of the ladies where still inside chatting and laughing , she would get them to leave immediately after taking the call. 'Honey, are you home yet...I tried calling you on my way to church' she spoke in lowered tones. 'I'm home, junior is acting a bit dull...when was the last time he was treated for malaria?' her husband asked over the line. 'Uhmmm...  I think late last month, has he eating anything? ' she tried not to sound worried, Kaycee hated whenever her voice sounded full of worry. He would always question her faith walk. But sometimes she couldn't help it. Motherly instincts maybe. But then again taking care of a sick child was always extremely stressfull. 'Deborah is trying to give him dinner. Anyway hurry home, we might need to tak

Attached: molecular data:
+++
C29H89B2FO19P | ωB97M-V with the def2-TZVPD basis set

Properties
**F_max**: 4.0 eV/Å
**Highest occupied orbital energy**: -0.1508 Eh
**Spin multiplicity**: 1
**Net charge**: -1
**Electronic energy**: -3078.45018 Ha
**Lowest unoccupied orbital energy**: 0.057 Ha

```
141
Properties=species:S:1:pos:R:3:forces:R:3:mulliken_charge:R:1
P 2.504747 0.412327 -1.677803 1.02 -0.54 -1.43 0.281
F -2.127244 -2.353960 2.902057 -0.54 1.64 -1.85 -0.416
O -2.583769 6.028999 1.928980 0.08 0.29 -0.53 -0.501
O -9.149254 6.205542 5.080441 -0.01 0.54 -0.01 -0.395
O 8.610366 -2.466920 -5.051327 0.11 -0.38 0.32 -0.457
O -10.381780 4.246458 8.152617 -0.22 -0.60 0.13 -0.497
O 4.048303 -7.368557 -2.499268 -0.38 -0.21 -0.38 -0.445
O -5.829720 6.513410 4.300213 -0.11 0.12 0.55 -0.504
O -0.088904 1.863211 0.752617 -1.97 -0.79 -3.34 -0.760
O 0.683343 -1.854032 1.117023 3.38 2.14 -0.20 -0.988
O -4.023842 -5.066985 0.612762 -0.55 0.16 -0.43 -0.441
O 7.295492 1.476371 -3.722009 -0.12 0.51 -0.30 -0.385
O 6.211792 -11.146950 -3.155775 -0.42 -0.13 -0.36 -0.457
O -9.686496 7.526114 2.285854 -0.53 -0.49 0.20 -0.475
O -1.317918 0.881266 -1.259201 3.47 0.87 0.00 -0.686
O 2.945237 -1.599904 -0.041372 -0.97 -2.11 2.92 0.540
O 0.902045 0.753890 4.562120 -0.05 0.76 -0.05 -0.556
O -0.674318 7.293856 0.060720 -0.01 -0.24 0.43 -0.520
O -5.962166 -6.087370 -1.915481 -0.19 0.05 0.36 -0.517
O 0.229209 -1.380644 -1.193804 1.60 2.03 -0.01 -0.977
O 4.618285 3.617462 -4.686139 0.35 -0.27 -0.29 -0.350
C 8.334498 -2.409894 -6.438710 -0.08 -0.23 0.11 -0.554
C 1.930119 1.514776 -3.152061 -0.31 1.49 -0.06 -0.928
C 3.869244 -3.112286 -2.998516 -1.00 -0.13 0.38 -0.802
C -0.950185 7.350882 -1.326664 -0.04 -0.19 0.01 -0.537
C 5.681669 -2.301342 -0.683094 0.36 -0.17 0.05 -0.999
C -1.136659 2.892168 0.464127 0.17 1.68 1.01 -0.270
C 4.974371 -8.140097 -1.756764 -0.04 -0.17 -0.20 -0.514
C 3.705444 4.638735 -5.043784 0.05 -0.13 -0.17 -0.660
C 3.565230 1.582650 -0.542558 0.45 0.44 0.19 -0.421
C 7.137860 -11.918491 -2.413272 -0.12 -0.14 -0.07 -0.523
C 3.469598 -2.769551 0.680501 1.64 -1.26 -0.13 -0.880
C -3.642932 -0.721664 1.497139 0.82 -0.35 0.44 -1.056
C -1.792416 -2.279630 0.359904 -1.21 0.35 0.75 -0.446
C -9.517489 8.923161 2.131320 -0.15 0.14 -0.03 -0.588
C 8.433918 0.634904 -3.732471 0.03 0.11 -0.10 -0.362
C 4.570306 -3.487157 -0.347901 -0.17 1.07 0.07 0.261
C 2.373528 -4.704436 -1.510938 -0.09 0.23 -1.17 -0.847
C -6.192220 6.078733 3.002587 -0.14 0.03 0.04 -0.247
C 0.402959 -0.570697 4.586059 -0.20 -0.10 -0.34 -0.181
C 4.969421 2.071562 -1.277120 -0.75 0.28 0.70 -0.672
C -2.180745 -1.433980 1.721835 -0.34 0.48 -1.39 1.335
C 1.777751 -1.003100 0.625548 -2.13 1.87 -1.74 -0.828
C -9.412386 5.156306 8.639073 0.10 -0.09 0.10 -0.551
C -9.648340 4.880956 5.104380 -0.18 -0.01 -0.18 -0.620
C 3.891282 -4.115245 -1.701153 0.54 -0.99 -0.69 0.622
C -3.780131 -5.458628 1.951198 0.08 0.21 0.16 -0.541
C -4.999049 -6.793594 -2.675640 0.07 0.16 0.27 -0.486
C 1.024225 -0.257505 -0.667870 -1.13 -0.27 1.68 0.850
+++


She looked at the women with much compassion. If only they had the faintest clue what difference they where capable of making both individually and as a group. She silently trusted the Holy Spirit to aid her communicate what was in her heart. There was so much burden in her heart both for the church and the town. she couldnt exactly place her finger on whatever was the matter, but she knew a lot was wrong. A scripture flashed across her mind, 'For death is come up into our windows, and is entered into our palaces, to cut off the children from without, and the young men from the streets' That was the only way to describe what was going on. For a small town they had too many deaths. This week the Adimorah's had lost their only girl in horrible circumstances. Although they didnt move in the same circles , she knew the family .That child was just 4 - an angel. She heard Mrs. Adegoke the cantankerous landlady at No.15 had suddenly run mad. Mrs. Adegoke was a fiery woman